Browse Items (23 total)
- Tags: University of Illinois
League of Women Voters - Programs - Public Forum
Tags: America Inc the conditions of progress, American Dream a Cairo woman's lament, Board meeting agenda and notes, Chicago's separate cities, Communications and the new politics, Community Forums, Conditions of Progress a Letter to Friends in Illinois, correspondence, Crisis of American Cynicism, Decatur IL, Decatur Public Library, Disenfranchised of the past leaders of the future, Grassroots democracy, Grassroots democracy Oak Park and Austin, Grassroots democracy the Saul Alinsky method, Illini forensic association, Illinois Papers, Lake Michigan federation, League of Women Voters, Memo with notes, Men take of the land and get rich, newspaper articles, Programs, public forum, Recognized contradictions, Resolving the contradictions of womanhood, Schools and the freedom of discipline, The American dilemma democracy vs plutocracy, The essence of the problem centralization, The fallacies of liberal education, the Indian's despair, The last American individual, the Latino's vision, the Worker's tragedy, TV and the loss of feeling, University of Illinois, Welfare the shape of things to come
League of Women Voters - monthly board meeting - Monthly luncheon meeting - September 1958
Tags: board meeting, Finance Drive, judicial amendment, League of Women Voters, luncheon meeting, LWV luncheon, Minutes, Mrs. Colvis president, Mrs. Cresswell secretary, nominating committee, Professor Edward Cleery, regional LWV meeting, treasure's report, unit meetings, University of Illinois, Water trips
League of Women Voters - Board Minutes - October 1947
Tags: A. E. Staley, Decatur IL, Decatur Public Library, Dr. Edwin Reader, Education for a Dangerous World, Kauper Hall, League of Women Voters, Millikin University, Minutes, Mrs. J. A. Melrose, national Food Conservation Committee in Washington D.C., no board meeting, no general meeting, October 1947, Relief to Europe, Saving at Home, Speakers, University of Illinois
Residence - 442 W. Prairie - Dr. Albert Drew Home
Tags: 1980-1974, Albert Drew, architect, Article, assessor's office, Bernard Witt, Blanche Barnard, Charlotte Meyer, Charlotte Meyer Collection, city directory, Clarence Goltra, description, drawing, floor plan, George f. Barber, History, Macon County Coordinating Council, owners, photo, Preservation in Decatur, Register of Old Buildings, University of Illinois, Vera Witt
Residence - #2 Millikin Place - Edward P. Erving Home
Tags: 1911-1974, Article, assessor's office, biography, Centennial History of Decatur and Macon County, Charlotte Meyer, Charlotte Meyer Collecion, city directory, description, drawing, E. Frank and Elma Beaman, Edward P. Irving, Fairies Manufacturing, floor plan, Frank Lloyd Wright, George and Hazel Walker, Herald and Review, History, L. Blair, Mabel Richard, Macon County Coordinating Council, Margaret Miller, Marion Mahoney Griffin, Millikin Place, Mrs. Florence Irving, obituaries, owners, Past and Present of Macon County, photos, Prairie Style 1900-1915. characteristics, Preservation in Decatur, Register of Old Buildings, Robert and Sally Brown, Robert Fairies, University of Illinois, William E. and Bonnie Dutton
Finance and Properties Committee Meeting - January 2020 - agenda, minutes, packet
Science Kid - December 2010
-- Between two parts of the text: data records --
+++
[1]
This entry pairs a crystal structure of Zr6IrPd with its theoretical powder diffraction line list. Radiation: Cu Kα. Structure: DFT lattice parameters and positions (GGA-PBE).
Neutral-atom scattering factors, no anomalous dispersion.

The 12 most intense peaks (2θ from 15° to 90°), by angle:
2θ = 19.8°, intensity 4, (1 0 1)
2θ = 36.2°, intensity 100, (1 1 4)
2θ = 38.2°, intensity 45, (2 0 0)
2θ = 40.1°, intensity 3, (2 0 2)
2θ = 45.6°, intensity 8, (1 1 6)
2θ = 49.0°, intensity 9, (0 0 8)
2θ = 55.1°, intensity 15, (2 2 0)
2θ = 63.8°, intensity 16, (2 0 8)
2θ = 67.7°, intensity 31, (3 1 4)
2θ = 76.8°, intensity 9, (2 2 8)
2θ = 81.7°, intensity 5, (4 0 0)
2θ = 83.2°, intensity 6, (1 1 12)

Atomic structure:
```
data_Zr6IrPd
_chemical_formula_sum 'Zr12 Ir2 Pd2'
_cell_length_a 4.7152
_cell_length_b 4.7152
_cell_length_c 14.8695
_cell_angle_alpha 90.00
_cell_angle_beta 90.00
_cell_angle_gamma 90.00
_space_group_name_H-M_alt 'I 4/m m m'
_space_group_IT_number 139
_space_group_name_Hall '-I 4 2'
loop_
_atom_site_label
_atom_site_fract_x
_atom_site_fract_y
_atom_site_fract_z
_atom_site_occupancy
Zr1 0.0000 0.0000 0.2496 1
Zr2 0.0000 0.5000 0.1110 1
Ir1 0.0000 0.0000 0.0000 1
Pd1 0.0000 0.0000 0.5000 1
```

=====

[2]
This entry pairs a crystal structure of Nd5Cd2 with its theoretical powder diffraction line list. Radiation: Cu Kα. Structure: DFT lattice parameters and positions (GGA-PBE).
Neutral-atom scattering factors, no anomalous dispersion.

The 12 most intense peaks (2θ from 15° to 90°), by angle:
2θ = 25.8°, intensity 8, (1 1 -2)
2θ = 31.5°, intensity 91, (1 1 2)
2θ = 32.1°, intensity 100, (0 2 0)
2θ = 45.5°, intensity 22, (2 2 -3)
2θ = 45.6°, intensity 11, (4 0 1)
2θ = 55.6°, intensity 16, (2 0 4)
2θ = 56.8°, intensity 34, (4 2 1)
2θ = 57.2°, intensity 19, (6 0 -2)
2θ = 65.6°, intensity 7, (2 2 4)
2θ = 67.1°, intensity 12, (0 4 0)
2θ = 74.9°, intensity 9, (4 2 -6)
2θ = 76.0°, intensity 11, (5 3 -4)

Atomic structure:
```
data_Nd5Cd2
_chemical_formula_sum 'Nd10 Cd4'
_cell_length_a 9.6548
_cell_length_b 5.5818
_cell_length_c 8.8255
_cell_angle_alpha 90.00
_cell_angle_beta 111.50
_cell_angle_gamma 90.00
_space_group_name_H-M_alt 'C 1 2/m 1'
_space_group_IT_number 12
loop_
_space_group_symop_operation_xyz
'x,y,z'
'-x,-y,-z'
'-x,y,-z'
'x,-y,z'
'x+1/2,y+1/2,z'
'-x+1/2,-y+1/2,-z'
'-x+1/2,y+1/2,-z'
'x+1/2,-y+1/2,z'
loop_
_atom_site_label
_atom_site_fract_x
_atom_site_fract_y
_atom_site_fract_z
_atom_site_occupancy
Nd1 0.0000 0.0000 0.0000 1
Nd2 0.0750 0.5000 0.7247 1
Nd3 0.1579 0.0000 0.4739 1
Cd1 0.2107 0.5000 0.1335 1
```

=====

[3]
This entry pairs a crystal structure of Nd3YB2N6 with its theoretical powder diffraction line list. Radiation: Cu Kα. Structure: DFT lattice parameters and positions (GGA-PBE).
Neutral-atom scattering factors, no anomalous dispersion.

The 12 most intense peaks (2θ from 15° to 90°), by angle:
2θ = 23.0°, intensity 73, (1 0 1)
2θ = 31.8°, intensity 100, (1 1 0)
2θ = 33.7°, intensity 90, (0 1 2)
+++
University of Illinois Smart Energy Design Assistance Center - September 2011
Lee D. Pigott's Interview #1
Tags: 1978, AB degree, Ada Holtwick Caudle Pigott, aluminum scrap drive, Antoinette County KS, apprenticeship, Armistice Day, aviation mechanic, basketball, Betty Turnell, boys' club, cabinet making, car repair man, Carpenter's Union, Centennial Junior High School, Charles Lee, childhood, Christmas program, Christopher Wren tower, corporal punishment, counseling departments, Cy Gentry, Decatur Board of Education, Decatur High School, Decatur IL, Decatur Kiwanis Club, Decatur Public Schools, Dennis School, distributive education, diversified occupations, Dr. Cameron Harmon, Dr. Lloyd Trump, Durfee School, Durfee School principal, Enlistment, farmhand, fathers' club, forced retirement, Ford Foundation, Gaither farm, Gastman School, Great Lakes Naval Academy, growth pattern, gymnasium, high school diploma, ice wagon, Illinois Junior High School Association, industrial education, interview, janitor, January 1978, Kansas, Kansas City MO, Ku Klux Klan, Lebanon IL, Lee D. Pigott, Lee Decatur Pigott, Lincoln School, Little 19 Basketball Tournament, Logan School, machinist, Malleable Iron Company, manual training, Mary W. French School, master's degree, Mayor, McKendree College Academy, Methodist Church, Millikin University, Miss Elizabeth Crowder, Mobile and Ohio shop, mothers' club, Mr. Jones, Murphysburo IL, Naval Aviation, North Central Association, Oakland Junior High School, Oakland School, Oke Summers, Oklahoma, Old Clothes Day, oral history, Pekin IL, Pekin Starch, Pfeifer, Pines Community Center, Principal, PTA, quitting school, R.S.W. McDavid, Railroad YMCA, recording, Roosevelt Junior High School, Spanish flu, staff utilization, Superintendent Engleman, Third United Brethren Church, Torrence Park, truancy, Ulrich School, University of Illinois, vocational automobile mechanics, vocational building trades, vocational cabinet making, vocational drafting, vocational electricity, vocational sheet and metal, vocational work, Warren School, wheat harvest crews, wooden paddle, Woodrow Wilson Junior High School, Woodworking, World War I, World War II, WWI, WWII, YMCA, young people's group
Loren Boatman's Oral History
Tags: "live line" truck, 1986, August 1986, Betty Turnell, Bill Cecil, boating, cable television, cameras, Carl Hickerson, Carlinville IL, changes to broadcasting, changes to meteorology, Channel 17, childhood, Decatur Celebration, Decatur IL, Decatur Public Library, Don Foreman, government weather observer, interview, J. Giles, Korean War, Lake Decatur, Lakeview High School, lights, live broadcasts, live commercials, Loren Boatman, MacArthur High School, master's degree, meteorologist, Meteorology, microphones, microwave dishes, Navy Indiana State Teacher's College, Northwestern Midshipman School, Northwestern University, oral history, Pacific Ocean, photography, piano, recording, Southern Illinois University, Teacher, Television, travelling, University of Illinois, WAND